Record 1
58
Properties=species:S:1:pos:R:3 method="wB97M-V/def2-TZVPD" multiplicity=2 total_charge=+2 de_lowest_kcal_mol=20.51 largest_force_ha_per_bohr=0.018
Ru 0.147 -0.093 -0.239
C -1.386 -3.115 -8.012
C -1.250 -2.366 -6.720
C -1.444 -0.989 -6.664
C -1.344 -0.298 -5.467
C -1.041 -1.003 -4.311
C -0.846 -2.381 -4.336
C -0.951 -3.051 -5.537
S -0.896 -0.127 -2.816
O -1.469 -0.972 -1.737
O -1.396 1.203 -2.984
N 0.653 -0.126 -2.314
C 1.424 1.036 -2.164
C 1.820 1.931 -3.135
C 2.543 3.028 -2.689
C 2.805 3.195 -1.328
C 2.324 2.274 -0.420
N 1.660 1.192 -0.849
H -1.460 -2.439 -8.860
H -2.285 -3.733 -7.994
H -0.537 -3.780 -8.171
H -1.688 -0.449 -7.569
H -1.516 0.769 -5.423
H -0.652 -2.923 -3.419
H -0.816 -4.126 -5.567
H 1.556 1.776 -4.170
H 2.894 3.770 -3.394
H 3.362 4.049 -0.973
H 2.462 2.379 0.647
Cl -1.229 1.825 0.095
C -1.812 1.634 1.752
C -2.690 2.588 2.217
C -3.174 2.453 3.511
C -2.779 1.388 4.303
C -1.893 0.446 3.806
Cl -1.413 -0.873 4.807
C -1.385 0.550 2.508
S -0.247 -0.631 1.870
H -2.996 3.411 1.587
H -3.867 3.185 3.902
H -3.156 1.278 5.310
N 2.512 -4.416 0.247
C 1.183 -4.405 -0.464
C 0.443 -3.127 -0.112
N 1.228 -1.920 -0.445
C 2.554 -1.946 0.197
C 3.333 -3.211 -0.129
H 3.024 -5.273 0.029
H 2.355 -4.422 1.259
H 0.625 -5.287 -0.157
H 1.405 -4.475 -1.529
H 0.205 -3.105 0.954
H -0.503 -3.088 -0.652
H 1.331 -1.846 -1.463
H 2.412 -1.848 1.276
H 3.127 -1.082 -0.134
H 4.274 -3.255 0.416
H 3.536 -3.300 -1.196

=====

Record 2
51
Properties=species:S:1:pos:R:3 method="wB97M-V/def2-TZVPD" multiplicity=7 largest_force_ha_per_bohr=0.062
C -2.841 2.539 1.921
C -2.879 1.794 0.701
C -2.761 0.413 1.019
H -3.005 2.203 -0.301
C -2.648 0.288 2.435
C -2.700 1.602 3.001
H -2.576 -0.652 2.982
C 0.816 3.993 0.457
C -0.231 3.602 -0.430
C 0.194 2.447 -1.144
H -1.186 4.113 -0.567
C 1.497 2.091 -0.688
C 1.886 3.058 0.298
H -2.805 -0.416 0.308
H -2.633 1.850 4.063
H -2.913 3.626 2.014
H 2.845 3.065 0.816
H -0.349 1.942 -1.945
H 0.805 4.840 1.145
Eu -0.165 1.807 1.844
C 2.397 1.003 -1.248
C 3.751 1.635 -1.593
C 1.811 0.388 -2.526
H 3.618 2.449 -2.316
H 4.418 0.890 -2.046
H 4.250 2.041 -0.708
H 1.701 1.157 -3.300
H 0.834 -0.075 -2.345
H 2.493 -0.385 -2.908
C 2.640 -0.130 -0.199
C 1.467 -1.042 0.097
H 2.954 0.321 0.760
H 3.482 -0.752 -0.549
O 0.328 -0.600 0.365
N 1.663 -2.382 0.088
C 0.705 -3.226 0.828
H 2.613 -2.735 0.011
C -0.626 -3.285 0.131
C -1.812 -3.358 0.876
H -1.747 -3.322 1.967
C -3.046 -3.451 0.226
H -3.963 -3.509 0.816
C -3.102 -3.479 -1.174
H -4.066 -3.559 -1.680
C -1.918 -3.409 -1.919
H -1.944 -3.430 -3.010
C -0.684 -3.318 -1.264
H 0.249 -3.258 -1.832
H 0.573 -2.823 1.841
H 1.141 -4.227 0.916
Cl 1.468 1.666 3.766

=====

Record 3
55
Properties=species:S:1:pos:R:3 method="wB97M-V/def2-TZVPD" multiplicity=5 largest_force_ha_per_bohr=0.016
Co 0.195 0.115 -0.127
C 0.666 -0.091 3.045
N 0.044 0.873 2.131
C 0.780 2.147 2.177
C 2.128 2.054 1.466
C 1.994 2.395 -0.013
N 0.861 1.739 -0.616
C 0.280 2.392 -1.706
C -0.956 1.700 -2.211
C -2.087 2.549 -2.597
C -3.232 2.127 -3.141
C -3.508 0.763 -3.513
C -2.831 -0.344 -3.174
C -1.793 -0.579 -2.144
O -1.596 -1.758 -1.852
C -1.388 1.035 2.475
C -2.318 0.308 1.507
C -1.972 -1.159 1.293
N -0.634 -1.362 0.719
C -0.140 -2.539 0.817
C 1.169 -2.939 0.401
C 1.518 -4.299 0.425
C 2.779 -4.718 0.085
C 3.739 -3.763 -0.276
C 3.430 -2.425 -0.303
C 2.134 -1.967 0.024
O 1.885 -0.689 -0.006
H 0.754 0.336 4.052
H 1.657 -0.374 2.695
H 0.062 -0.994 3.100
H 0.923 2.454 3.223
H 0.171 2.907 1.684
H 2.531 1.047 1.563
H 2.840 2.743 1.923
H 2.925 2.119 -0.529
H 1.875 3.481 -0.116
H 0.322 3.481 -1.688
H -1.922 3.616 -2.492
H -3.969 2.871 -3.418
H -4.351 0.627 -4.183
H -3.159 -1.287 -3.593
H -1.650 2.094 2.464
H -1.563 0.671 3.493
H -2.302 0.819 0.546
H -3.337 0.361 1.896
H -2.704 -1.594 0.609
H -2.039 -1.696 2.245
H -0.757 -3.318 1.268
H 0.761 -5.021 0.711
H 3.033 -5.769 0.097
H 4.740 -4.085 -0.537
H 4.164 -1.681 -0.584
Se 0.660 2.423 -4.701
C 0.298 1.758 -3.086
N -1.113 0.445 -1.528

=====

Record 4
54
Now set down every line further up that contains the word "Properties".
Properties=species:S:1:pos:R:3 method="wB97M-V/def2-TZVPD" multiplicity=2 total_charge=+2 de_lowest_kcal_mol=20.51 largest_force_ha_per_bohr=0.018
Properties=species:S:1:pos:R:3 method="wB97M-V/def2-TZVPD" multiplicity=7 largest_force_ha_per_bohr=0.062
Properties=species:S:1:pos:R:3 method="wB97M-V/def2-TZVPD" multiplicity=5 largest_force_ha_per_bohr=0.016